The Problem of Evil Flashcards
inconsistent triad
• There is evil and suffering in the world
• There is an omnibenevolent God
# Between two parts of the article: calculated crystals
____________
Computed XRD peak list of Pu3GaSi2 for Cu Ka, from a structure optimized by DFT (PBE).
Intensities are scaled so that the largest is 1000.

Crystal structure
```
data_Pu3GaSi2
_symmetry_space_group_name_H-M 'P n m a'
_symmetry_Int_Tables_number 62
_symmetry_space_group_name_Hall '-P 2ac 2n'
_cell_length_a 11.863
_cell_length_b 4.187
_cell_length_c 9.399
_cell_angle_alpha 90.00
_cell_angle_beta 90.00
_cell_angle_gamma 90.00
loop_
_atom_site_label
_atom_site_type_symbol
_atom_site_fract_x
_atom_site_fract_y
_atom_site_fract_z
Pu1 Pu 0.050 0.250 0.094
Pu2 Pu 0.180 0.750 0.631
Pu3 Pu 0.248 0.250 0.775
Ga1 Ga 0.087 0.250 0.417
Si1 Si 0.005 0.250 0.695
Si2 Si 0.193 0.750 0.971
```

The 6 most intense peaks (10 to 90 degrees two-theta), most intense first:
| 2θ (°) | d_spacing | Rel. int. | index |
| --- | --- | --- | --- |
| 35.8 | 2.509 | 1000 | 0 1 3 |
| 36.6 | 2.453 | 903 | 3 1 2 |
| 24.4 | 3.642 | 589 | 3 0 1 |
| 37.1 | 2.420 | 486 | 4 1 0 |
| 24.2 | 3.684 | 396 | 2 0 2 |
| 43.2 | 2.094 | 395 | 0 2 0 |

~~~~~

For Sr3Np3WN8, DFT lattice parameters and positions (PBE) gives the theoretical powder XRD pattern in this record (copper Kα).
No peak broadening, texture or thermal motion is included.

Crystal structure
abc: 7.178 7.178 7.178
angles: 56.69 56.69 56.69
Positions (direct):
Sr 0.000 0.500 0.500
Sr 0.500 0.000 0.500
Sr 0.500 0.500 0.000
Np 0.000 0.000 0.500
Np 0.000 0.500 0.000
Np 0.500 0.000 0.000
W 0.500 0.500 0.500
N 0.236 0.236 0.236
N 0.254 0.715 0.715
N 0.285 0.285 0.746
N 0.285 0.746 0.285
N 0.715 0.254 0.715
N 0.715 0.715 0.254
N 0.746 0.285 0.285
N 0.764 0.764 0.764

Top 10 peaks for 2θ from 10° to 80°, in order of falling intensity:
| 2θ/deg | intensity |
| --- | --- |
| 36.4 | 100 |
| 31.9 | 100 |
| 14.8 | 82 |
| 29.8 | 42 |
| 30.7 | 36 |
| 51.0 | 36 |
| 62.7 | 33 |
| 53.8 | 33 |
| 60.2 | 20 |
| 66.7 | 17 |

~~~~~

The following is a theoretical PXRD pattern of TbPm2Sm3Y6. It was derived from a DFT-relaxed cell (PBE, Alexandria), using Cu Kα (λ = 1.5418 Å).
Peak positions follow from Bragg's law for the DFT cell and can differ from measured ones.

Atomic structure:
```
data_TbPm2Sm3Y6
_chemical_formula_sum 'Tb2 Pm4 Sm6 Y12'
_cell_length_a 6.2398
_cell_length_b 10.8027
_cell_length_c 11.8670
_cell_angle_alpha 90.00
_cell_angle_beta 100.05
_cell_angle_gamma 90.00
_space_group_name_H-M_alt 'C 1 2/m 1'
_space_group_IT_number 12
_space_group_name_Hall '-C 2y'
loop_
_atom_site_label
_atom_site_type_symbol
_atom_site_fract_x
_atom_site_fract_y
_atom_site_fract_z
Tb1 Tb 0.0000 0.0000 0.0000
Pm1 Pm 0.0000 0.3335 0.0000
Sm1 Sm 0.0000 0.1667 0.5000
Sm2 Sm 0.0000 0.5000 0.5000
Y1 Y 0.2496 0.0000 0.7499
Y2 Y 0.2497 0.1665 0.2498
```

Peak list (10 most intense, 10 to 90 degrees two-theta, by angle)
2θ/deg, d/Å, I/Imax, h k l
30.42, 2.939, 100, 1 3 1
30.60, 2.921, 33, 0 0 4
35.32, 2.541, 67, 2 0 2
50.69, 1.801, 24, 0 6 0
50.93, 1.793, 23, 1 3 5
60.27, 1.535, 14, 4 0 0
60.38, 1.533, 28, 3 3 3
60.60, 1.528, 14, 2 0 6
63.29, 1.469, 12, 2 6 2
____________
• There is an omnipotent God
o They cannot all be true at the same time
o If God were good, he would wish to make his creatures perfectly happy and if God were almighty, he would able to do what he wished. But the creatures are not happy. Therefore, God lacks either goodness, or power, or both
o ‘The believer must have, in a cool moment, a solution to the problem of evil. If he does not, his faith is not rational…’
natural and moral evil
Natural evil – evil caused by natural disasters, disease and illness e.g. floods
o Evolutionary evil – whole evolutionary process seems to be full of waste, pain and loss. E.g. Ichneumonidae, lay eggs inside caterpillars, eaten from inside out for larvae to pupate
o ‘I cannot persuade myself that a beneficent and omnipotent God would have designedly created the Ichneumonidae with the express intention of their feeding within the living bodies of caterpillars’ - Darwin
Moral evil – evil directly precipitated by human beings e.g. war, bullying
logical problem of evil and scholar
• Theists make 2 affirmations:
o An omnipotent, omniscient, perfect good God exists
o Evil exists in the world
• This seems wholly incoherent, seem logically inconsistent with each other
• J. L. Mackie, ‘here it can be shown, not that religious beliefs lack rational support, but that they are positively irrational, that the several parts of the essential theological doctrine are inconsistent with one another’
deductive argument
logical contradiction - inconsistent triad
response to logical problem of evil: free will defence
• Claims to be truly free, God would have needed to create us with the possibility to sin; the wrong exercise of freedom is the source of moral evil. more valuable to be free when acting than not to be free, renders morality obsolete.
• Doesn’t prove that an omnibenevolent God exists, just that it is possible.
- we are significantly free when we can perform a morally significant action
- it is only genuinely moral action when freely done. to be morally good, it must be freely performed
o But, given the level of suffering in the world, this seems highly improbable (evidential problem of evil)
response to free will defence: evidential problem of evil
Response to Free Will Defence: Evidential Problem of Evil
• Given the amount of evil and suffering in the world and given theism’s claim of an omnipotent wholly good God, it is highly improbable that such a God exists.
based on probability and inference that god is unlikely to exist
evidential problem of evil - william rowe
o Many instances of intense suffering which an omnipotent, omniscient being could have prevented without losing some greater good or permitted some evil equally bad or worse.
o An omnipotent, omnibenevolent God would prevent the occurrence of any intense suffering it could, unless it would cause the loss of a greater good or permitted some evil equally bad or worse.
o There does not exist an omnipotent, omniscient wholly good being.
• Theists argue against Rowe, claiming no suffering is meaningless; it all has an explanation or goal.
• Rowe responds to this saying whilst some suffering has meaning, much does not e.g. fawn dying in forest fire, meaningless suffering.
religious responses to evil category
old testament
augustine theodicy
irenaean/hick theodicy
augustine response to evil - before and after fall
o History of Manichaeism, converted to Xianity after having conversion moment, Bible verse from Romans ‘spoke’ to him.
o Before the Fall
• Genesis 1:26 Imago dei
• Union with God
• Body and mind in line with will
• Adam had 2 states: original and potential state
• Harmonious relationship between Adam and Eve
o Fall and Original Sin
• Genesis 3: Fall represents sin of all mankind
• Through original sin we all inherit Adam’s sin, part of the ‘Massa damnata’
• Fall = literal story
• Chose sin freely
• Epistemic distance between God and humanity created
augustine - privatio boni
- Since humans fell from grace, they moved further away from God
- If God is source of all life and goodness, to fall away from God is to fall away from goodness
- Therefore, evil is an absence of good, just like cold is an absence of heat and darkness is an absence of light.
- Evil/light/warmth are not positive forces, but just the absence of something
augustine - problems
• It does not explain natural evil
• Can criticise Augustine’s taking of the Fall as literal, evolution appears to tell us that humans evolved from simplistic animals to become more complex, not that they fell from being intelligent.
• Evil does not seem like a privation of good, it does very much seem like a ‘positive force’.
- scheleirmacher: fall goes against creation of a perfect world
hick theodicy: similarity to irenaeus
- World is not perfect, but contains the potential for perfection
- Humans can contribute to God’s creative work by making positive responses to evil and suffering
- Freely choose to become closer/more distant with God
- The world is evaluated not in its perfection but in so far as it provides the right conditions for ‘soul-making’
- If God made everything perfect, then humans could not grow. (Counter-factual hypothesis)
hick theodicy
o Maintains that humans were created spiritually and morally immature, in order to develop and flourish, we must face suffering and challenge.
o Calls this the ‘vale of soul-making’.
• Uses 2 Corinthians 3:18, ‘we all, with unveiled faces beholding the glory of the lord are being changed into his likeness from one degree of glory to another’
• ‘A world of soul making is one in which our choices are genuine, so human goodness is genuine and not ‘the goodness of robots’
o Some values are developed only through situations of suffering e.g. compassion and bravery. If these were imposed on humans without cost, then they would be meaningless.
supporters of hick theodicy
- Simone Weil speaks of experiencing God most powerfully in suffering. Speaks of experience of Christ whereby she ‘only felt in the midst of my suffering the presence of a love’
- Consequentialist view – God allowing suffering is justified because the benefits are worth it (Swinburne, Leibniz etc.)
- God’s omnipotence must be confined to what is logically possible.
- Could argue that evil is logically necessary for the existence of good.
- So, God has created the best possible world, which incorporates true freedom.
- We need evil to have complete freedom where our choices have impacts, develop virtues such as mercy etc. that could not be developed if there was only good in the world.
[1]
GdYZn2Au4: theoretical powder diffraction line list (λ = 1.5418 Å (Cu Kα)), based on a cell relaxed with GGA-PBE.
No peak broadening, texture or thermal motion is included.

Main lines, sorted by position (10 to 90 degrees two-theta):
2theta, I_rel
25.98, 14.1
37.07, 100.0
53.44, 17.5
60.35, 6.1
66.82, 35.7
78.96, 11.3

Atomic structure:
```
GdYZn2Au4
1.0
4.851 0.000 0.000
0.000 4.851 0.000
0.000 0.000 6.855
Gd Y Zn Au
1 1 2 4
direct
0.000 0.000 0.000
0.500 0.500 0.500
0.000 0.000 0.500
0.500 0.500 0.000
0.000 0.500 0.250
0.000 0.500 0.750
0.500 0.000 0.250
0.500 0.000 0.750
```


[2]
BeCu2Si: theoretical powder diffraction line list (λ = 1.5418 Å (Cu Kα)), based on a cell relaxed with GGA-PBE.
No peak broadening, texture or thermal motion is included.

Main lines, sorted by position (10 to 90 degrees two-theta):
2theta, I_rel
31.75, 50.9
45.51, 100.0
56.55, 11.2
66.32, 14.3
75.40, 11.7
84.12, 27.4

Atomic structure:
```
BeCu2Si
1.0
5.637 0.000 0.000
0.000 5.637 0.000
0.000 0.000 5.637
Be Cu Si
4 8 4
direct
0.000 0.000 0.000
0.000 0.000 0.500
0.000 0.500 0.000
0.500 0.000 0.000
0.236 0.236 0.236
0.236 0.236 0.764
0.236 0.764 0.236
0.236 0.764 0.764
0.764 0.236 0.236
0.764 0.236 0.764
0.764 0.764 0.236
0.764 0.764 0.764
0.000 0.500 0.500
0.500 0.000 0.500
0.500 0.500 0.000
0.500 0.500 0.500
```


[3]
Lu3Co: theoretical powder diffraction line list (λ = 1.5418 Å (Cu Kα)), based on a cell relaxed with GGA-PBE.
No peak broadening, texture or thermal motion is included.

Main lines, sorted by position (10 to 90 degrees two-theta):
2theta, I_rel
31.89, 31.2
32.68, 100.0
32.83, 40.0
34.10, 45.2
36.17, 40.9
56.54, 32.0

Atomic structure:
```
Lu3Co
1.0
6.763 0.000 0.000
0.000 9.238 0.000
0.000 0.000 6.001
Lu Co
12 4
direct
0.040 0.250 0.133
0.177 0.065 0.677
0.177 0.435 0.677
0.323 0.565 0.177
0.323 0.935 0.177
0.460 0.750 0.633
0.540 0.250 0.367
0.677 0.065 0.823
0.677 0.435 0.823
0.823 0.565 0.323
0.823 0.935 0.323
0.960 0.750 0.867
0.112 0.750 0.451
0.388 0.250 0.951
0.612 0.750 0.049
0.888 0.250 0.549
```


[4]
HoHIBr: theoretical powder diffraction line list (λ = 1.5418 Å (Cu Kα)), based on a cell relaxed with GGA-PBE.
No peak broadening, texture or thermal motion is included.

Main lines, sorted by position (10 to 90 degrees two-theta):
2theta, I_rel
11.42, 79.7
27.03, 44.7
28.84, 74.3
31.66, 38.9
35.26, 100.0
46.60, 44.9

Atomic structure:
```
HoHIBr
1.0
3.898 0.000 0.000
-1.949 3.376 0.000
0.000 0.000 15.501
Ho H I Br
2 2 2 2
direct
0.000 0.000 0.244
0.000 0.000 0.756
0.333 0.667 0.752
0.667 0.333 0.248
0.333 0.667 0.382
0.667 0.333 0.618
0.333 0.667 0.123
0.667 0.333 0.877
```
problems with hick theodicy
• Universal salvation relies on eschatological verification
• There’s too much meaningless suffering, too much pain to justify a God – echoed by Ivan and Aloyosha’s dialogue in the Brothers Karamazov.
• People don’t suffer equally – does this mean some need more ‘soul-making’?
• Why should God take such a horrible route to salvation if everyone will eventually be saved? Shouldn’t he just have made us spiritually mature to start with?
• Some people are made worse by their suffering e.g. abusers have often been abused in past
• Some people who are genuinely evil and perhaps deserve suffering, appear to get none. Seems to go against Hick’s idea of indiscriminate suffering.
• Animal and evolutionary suffering offer no contribution to soul making.
• Universal salvation discredits the value of JC’s sacrifice.
- Philips, cannot justify evil because it might lead to good
hindu and buddhist ideas on evil and suffering
neither claim there is an omnibenevolent god
-- begin --
This entry pairs a crystal structure of Li3FeSb4O12 with its simulated X-ray diffraction stick pattern. Radiation: Cu Kα (weighted mean of Kα1 and Kα2). Structure: DFT lattice parameters and positions (PBE+U).

Largest 6 diffraction maxima, by angle, 10 to 80 degrees two-theta:
2θ (°)  I_rel
23.18  100.0
23.27  50.0
32.12  54.8
32.25  27.8
33.88  40.8
52.16  26.1

Atomic structure:
Cell lengths 5.2739, 5.5839, 7.6996 Å; angles 85.82, 89.79, 89.78 degrees
Sites, in units of the cell vectors:
Li 0.0000 0.0000 0.0000
Li 0.0043 0.0009 0.4945
Li 0.5011 0.5133 0.9989
Fe 0.5047 0.5237 0.4961
Sb 0.0029 0.4286 0.7185
Sb 0.4998 0.9431 0.2057
Sb 0.5049 0.9379 0.7160
Sb 0.9974 0.4334 0.2068
O 0.1372 0.4097 0.9609
O 0.1716 0.1075 0.2628
O 0.2068 0.7230 0.6303
O 0.3034 0.2315 0.6295
O 0.3200 0.6095 0.2625
O 0.3670 0.9093 0.9595
O 0.6274 0.9038 0.4560
O 0.6730 0.5988 0.7612
O 0.6941 0.2400 0.1292
-- stop --
B = no God
H = God has evil characteristics
suffering is inevitable part of world of samsara, endless cycle of life and death
believe in karma, natural law of nature
evil and suffering could be results of action in previous life
Islamic ideas on suffering
Allah’s ultimate purpose is good, omnipotent
suffering is God’s purpose, should bear with courage and faith. allah is merciful, don’t always get punishment you deserve
when people die, allah will be judged
hick - indiscriminate suffering etc
o Indiscriminate suffering: visited upon the good and the wicked with no obvious preference. The randomness of suffering is necessary to provide opportunities for moral growth in others.
o Deems belief in life after death essential, believer in universal salvation.
o In the end, humans will grow and flourish because of the vale of soul making they inhabit, more valuable than if God made humanity perfect from the start.
o In order for humans to be truly free, they must have liberty of indifference.
o Augustinian theodicies rely too much on the pre-scientific mentality of Adam and Eve; they also fail to explain natural evil, which Hick does
responses to logical problem of evil: James Martin, reasons for suffering
o Natural Law
♣ If we are to grow as moral personalities, we must grow in a world that is orderly. Otherwise there would be anarchy and progress would become impossible
♣ If God were to constantly intervene ‘man’s life would be a nightmare, not merely because it would be unpleasant but because it could have no moral meaning’
o Human choice
♣ Unless man has free choice, he is reduced to a mere puppet. If God were to compel men to choose what is good and wise, it would take away man’s free will.
responses to logical problem of evil: James Martin, hope of JC salvation
- JC asserts that God loves us through suffering
- Death of JC confirms God’s love, knowledge that God was with him in his suffering has made a tremendous difference
- JC knew suffering, real pain. Agony of mind as well as physical pain, suggested in his plea, ‘my God, my God, why hast thee forsaken me?
supporters of free will defence: James Martin
♣ freedom involves the risk of error. E.g. football has laws to make it as good a game as possible. Accidents happen, but men still view it as a good game. The possibility of hurt belong to the very nature of the game. If we eliminated the risk completely, it would be a different and inferior game.
♣ Allows mistakes because he loves us e.g. I have the power to prevent his walking on his own and since I love him, I don’t want him to fall over and hurt himself. But since I love him, I also want him to learn to walk. I must permit him to walk on his own with the knowledge that he might hurt himself, but this is part of my love for him.
paul draper, evidential problem of evil
Gratuitous evils exist.
The hypothesis of indifference, i.e., that if there are supernatural beings they are indifferent to gratuitous evils, is a better explanation for (1) than theism.
Therefore, evidence prefers that no god, as commonly understood by theists, exists